**Job**
Your job: transcribe everything below exactly.

**Data**
- - -
(1)
This record from the Alexandria database describes a PBEsol-optimized structure of Na10SrSn12. The functional is meta-GGA SCAN.

Properties
electronic total energy	-503.17	eV/f.u.
volume	30.08	Å³/atom
space group	I-43m (217)
energy of formation	-32	kJ per mole of atoms

Cell lengths 9.650, 9.650, 9.650 Å; angles 109.47, 109.47, 109.47 degrees
Positions (direct):
Sn  0.000  0.373  0.189
Sn  0.184  0.811  0.811
Na  0.387  0.387  0.387
Sn  0.627  0.627  0.816
Na  0.750  0.500  0.250
Sn  0.189  0.000  0.373
Na  0.750  0.250  0.500
Na  0.250  0.750  0.500
Sn  0.627  0.816  0.627
Sn  0.373  0.189  0.000
Na  0.000  0.613  0.000
Na  0.000  0.000  0.613
Sn  0.373  0.000  0.189
Sn  0.811  0.184  0.811
Na  0.613  0.000  0.000
Sn  0.189  0.373  0.000
Na  0.500  0.250  0.750
Sr  0.000  0.000  0.000
Sn  0.000  0.189  0.373
Na  0.500  0.750  0.250
Sn  0.811  0.811  0.184
Na  0.250  0.500  0.750
Sn  0.816  0.627  0.627

***

(2)
This record from the Alexandria database describes a PBEsol-optimized structure of Mg2TlCu. The functional is meta-GGA SCAN.

Properties
electronic total energy	-97.88	eV/f.u.
volume	19.18	Å³/atom
space group	Pmmm (47)
energy of formation	-9	kJ per mole of atoms

Cell lengths 3.196, 3.244, 7.398 Å; angles 90.01, 90.00, 90.00 degrees
Positions (direct):
Mg  0.000  0.000  0.297
Tl  0.500  0.500  0.000
Mg  0.000  0.000  0.703
Cu  0.500  0.500  0.500

***

- What is the electronic total energy in the first record?
  -503.17 eV/f.u.

***

- Which value of energy of formation does entry 2 give?
  -9 kJ per mole of atoms

***

- Which of these has the lowest volume?
  Mg2TlCu

***

- Which of these has the lowest volume?
  Mg2TlCu


AgPRhCl2 | GGA-PBE | relaxed

a b c (Å): 4.929 4.929 4.921
angles (deg): 90.00 90.00 90.00
Space group P4/mmm (No. 123)
Inequivalent atoms, fractional coordinates:
Ag  0.000  0.000  0.000 [1 per cell]
P  0.000  0.000  0.500 [1 per cell]
Rh  0.500  0.500  0.500 [1 per cell]
Cl  0.000  0.500  0.000 [2 per cell]

Energy relative to the lowest polymorph listed for this composition (eV/atom): 0.839
Total DFT energy (no corrections) (eV/atom): -2.872
Crystal system: tetragonal
Formation energy from raw total energies (meV/atom): 989
- - -

**Done**
(1)
This record from the Alexandria database describes a PBEsol-optimized structure of Na10SrSn12. The functional is meta-GGA SCAN.

Properties
electronic total energy	-503.17	eV/f.u.
volume	30.08	Å³/atom
space group	I-43m (217)
energy of formation	-32	kJ per mole of atoms

Cell lengths 9.650, 9.650, 9.650 Å; angles 109.47, 109.47, 109.47 degrees
Positions (direct):
Sn  0.000  0.373  0.189
Sn  0.184  0.811  0.811
Na  0.387  0.387  0.387
Sn  0.627  0.627  0.816
Na  0.750  0.500  0.250
Sn  0.189  0.000  0.373
Na  0.750  0.250  0.500
Na  0.250  0.750  0.500
Sn  0.627  0.816  0.627
Sn  0.373  0.189  0.000
Na  0.000  0.613  0.000
Na  0.000  0.000  0.613
Sn  0.373  0.000  0.189
Sn  0.811  0.184  0.811
Na  0.613  0.000  0.000
Sn  0.189  0.373  0.000
Na  0.500  0.250  0.750
Sr  0.000  0.000  0.000
Sn  0.000  0.189  0.373
Na  0.500  0.750  0.250
Sn  0.811  0.811  0.184
Na  0.250  0.500  0.750
Sn  0.816  0.627  0.627

***

(2)
This record from the Alexandria database describes a PBEsol-optimized structure of Mg2TlCu. The functional is meta-GGA SCAN.

Properties
electronic total energy	-97.88	eV/f.u.
volume	19.18	Å³/atom
space group	Pmmm (47)
energy of formation	-9	kJ per mole of atoms

Cell lengths 3.196, 3.244, 7.398 Å; angles 90.01, 90.00, 90.00 degrees
Positions (direct):
Mg  0.000  0.000  0.297
Tl  0.500  0.500  0.000
Mg  0.000  0.000  0.703
Cu  0.500  0.500  0.500

***

- What is the electronic total energy in the first record?
  -503.17 eV/f.u.

***

- Which value of energy of formation does entry 2 give?
  -9 kJ per mole of atoms

***

- Which of these has the lowest volume?
  Mg2TlCu

***

- Which of these has the lowest volume?
  Mg2TlCu


AgPRhCl2 | GGA-PBE | relaxed

a b c (Å): 4.929 4.929 4.921
angles (deg): 90.00 90.00 90.00
Space group P4/mmm (No. 123)
Inequivalent atoms, fractional coordinates:
Ag  0.000  0.000  0.000 [1 per cell]
P  0.000  0.000  0.500 [1 per cell]
Rh  0.500  0.500  0.500 [1 per cell]
Cl  0.000  0.500  0.000 [2 per cell]

Energy relative to the lowest polymorph listed for this composition (eV/atom): 0.839
Total DFT energy (no corrections) (eV/atom): -2.872
Crystal system: tetragonal
Formation energy from raw total energies (meV/atom): 989